### Brief
Count the lines below that contain the word "record" and give the number alone.

### File
Theoretical X-ray powder pattern of Co2HgPt for Cu Kα X-rays, from a structure optimized by DFT (GGA-PBE).
No peak broadening, texture or thermal motion is included.

Crystal structure
```
Co2HgPt
1.0
2.791 0.000 0.000
-1.395 2.417 0.000
0.000 0.000 26.672
Co Hg Pt
6 3 3
Direct
0.000 0.000 0.000
0.000 0.000 0.266
0.333 0.667 0.667
0.333 0.667 0.933
0.667 0.333 0.333
0.667 0.333 0.599
0.000 0.000 0.755
0.333 0.667 0.422
0.667 0.333 0.089
0.000 0.000 0.520
0.333 0.667 0.187
0.667 0.333 0.853
```

Largest 10 diffraction maxima, sorted by position, 2θ = 10–80°:
| d/Å | I (rel.) |
| --- | --- |
| 2.964 | 28.5 |
| 2.407 | 19.7 |
| 2.272 | 100.0 |
| 2.223 | 22.7 |
| 2.202 | 26.3 |
| 1.957 | 56.8 |
| 1.564 | 17.1 |
| 1.395 | 21.8 |
| 1.316 | 11.2 |
| 1.262 | 13.5 |

=====

Diffraction record for Pr3Sb4Au3. The powder diffraction line list is computed, not measured: it uses the GGA-PBE geometry in the Materials Project and Cu Ka.

Atomic structure:
```
Pr3Sb4Au3
1.0
-5.079 5.079 5.079
5.079 -5.079 5.079
5.079 5.079 -5.079
Pr Sb Au
6 8 6
Direct
0.125 0.750 0.875
0.250 0.625 0.375
0.375 0.250 0.625
0.625 0.375 0.250
0.750 0.875 0.125
0.875 0.125 0.750
0.000 0.325 0.500
0.000 0.825 0.500
0.175 0.175 0.175
0.325 0.500 0.000
0.500 0.000 0.325
0.500 0.000 0.825
0.675 0.675 0.675
0.825 0.500 0.000
0.125 0.875 0.250
0.250 0.125 0.875
0.375 0.625 0.750
0.625 0.750 0.375
0.750 0.375 0.625
0.875 0.250 0.125
```

Peak list (8 most intense, 10° ≤ 2θ ≤ 90°, sorted by position)
d 4.147, I 25.8
d 2.715, I 100.0
d 2.271, I 48.0
d 2.073, I 13.9
d 1.992, I 14.2
d 1.855, I 15.7
d 1.466, I 11.5
d 1.382, I 13.0

=====

# 1
Calculated XRD peak list of LiMg4V3O12 for Cu Kα (λ = 1.5418 Å), from a cell relaxed with PBE+U.
Lines closer than 0.1° are merged.

```
data_LiMg4V3O12
_chemical_formula_sum 'Li4 Mg16 V12 O48'
_cell_length_a 6.9564
_cell_length_b 6.9564
_cell_length_c 19.1485
_cell_angle_alpha 90.00
_cell_angle_beta 90.00
_cell_angle_gamma 90.00
_symmetry_space_group_name_H-M 'I -4 2 d'
_symmetry_Int_Tables_number 122
_symmetry_space_group_name_Hall 'I -4 2bw'
loop_
_atom_site_label
_atom_site_fract_x
_atom_site_fract_y
_atom_site_fract_z
Li1 0.0000 0.0000 0.0000
Mg1 0.0000 0.0000 0.2747
Mg2 0.2424 0.2500 0.6250
V1 0.0000 0.0000 0.5000
V2 0.1500 0.7500 0.1250
O1 0.0108 0.2112 0.1942
O2 0.0408 0.2280 0.3510
O3 0.0529 0.2104 0.5456
```

Main lines, low angle first (10° ≤ 2θ ≤ 90°):
h k l, d_spacing, I/Imax
1 0 3, 4.703, 19
1 0 5, 3.355, 35
2 1 1, 3.071, 56
2 0 4, 2.814, 100
2 1 3, 2.796, 16
4 0 0, 1.739, 18
3 2 5, 1.723, 16
2 2 8, 1.715, 20

# 2
Calculated XRD peak list of LiMgVO4 for Cu Kα (λ = 1.5418 Å), from a cell relaxed with PBE+U.
Lines closer than 0.1° are merged.

```
data_LiMgVO4
_chemical_formula_sum 'Li4 Mg4 V4 O16'
_cell_length_a 5.7079
_cell_length_b 8.7143
_cell_length_c 6.3150
_cell_angle_alpha 90.00
_cell_angle_beta 90.00
_cell_angle_gamma 90.00
_symmetry_space_group_name_H-M 'C m c m'
_symmetry_Int_Tables_number 63
_symmetry_space_group_name_Hall '-C 2c 2'
loop_
_atom_site_label
_atom_site_fract_x
_atom_site_fract_y
_atom_site_fract_z
Li1 0.0000 0.1621 0.2500
Mg1 0.0000 0.5000 0.0000
V1 0.0000 0.1461 0.7500
O1 0.0000 0.2603 0.5292
O2 0.2455 0.0201 0.7500
```

Main lines, low angle first (10° ≤ 2θ ≤ 90°):
h k l, d_spacing, I/Imax
1 1 1, 3.809, 100
0 2 1, 3.586, 65
2 0 0, 2.854, 42
1 1 2, 2.634, 78
1 3 0, 2.589, 48
2 2 0, 2.387, 22
0 0 4, 1.579, 22
2 4 2, 1.518, 49

# 3
Calculated XRD peak list of Li3MgV8O16 for Cu Kα (λ = 1.5418 Å), from a cell relaxed with PBE+U.
Lines closer than 0.1° are merged.

```
data_Li3MgV8O16
_chemical_formula_sum 'Li6 Mg2 V16 O32'
_cell_length_a 10.3487
_cell_length_b 6.0450
_cell_length_c 10.3205
_cell_angle_alpha 90.00
_cell_angle_beta 108.19
_cell_angle_gamma 90.00
_symmetry_space_group_name_H-M 'C 1 m 1'
_symmetry_Int_Tables_number 8
loop_
_symmetry_equiv_pos_as_xyz
'x,y,z'
'x,-y,z'
'x+1/2,y+1/2,z'
'x+1/2,-y+1/2,z'
loop_
_atom_site_label
_atom_site_fract_x
_atom_site_fract_y
_atom_site_fract_z

### Outcome
1